Belmont University Top Questions

What should every freshman at Belmont University know before they start?


Get organized and remember that slow and steady wins the race. There are a lot of interesting looking classes, but pace yourself and don't overload your credits. Taking too many classes can mean a lower over all G.P.A. because there are many hours of homework and multiple tasks to accomplish. Take an average load and do those classes well. In addition take care of your finances. Meet those deadlines for financial aid and scholarships, plus work part-time to keep yourself out of school debt. Finally, these are great years and there are a lot of new and interesting people to meet in college. Get social and let the people, culture and entire college experience shape you into a more interesting and well rounded person. These are years of major personal growth. Have a plan and dive into it!


Do your best!

Data records, kept here for reference:
=====
1.
This entry pairs a crystal structure of La2FeGeO6 with its theoretical PXRD pattern. Radiation: Cu Kα. Structure: a DFT-relaxed cell (PBE+U, Alexandria).
Neutral-atom scattering factors, no anomalous dispersion.

Cell and atoms:
Cell: 5.596 5.596 3.919 Å, 90.00 90.00 90.00°
Space group P4/mmm (No. 123)
Unique sites:
La 0.000 0.500 0.000 x2
Fe 0.000 0.000 0.500 x1
Ge 0.500 0.500 0.500 x1
O 0.000 0.000 0.000 x1
O 0.265 0.265 0.500 x4
O 0.500 0.500 0.000 x1

Top 12 peaks for 2θ = 10–90°, most intense first:
- hkl 1 1 1, d 2.785, intensity 100
- hkl 2 0 0, d 2.798, intensity 51
- hkl 3 1 1, d 1.613, intensity 39
- hkl 2 2 0, d 1.978, intensity 32
- hkl 2 0 1, d 2.277, intensity 22
- hkl 2 0 2, d 1.605, intensity 19
- hkl 2 2 2, d 1.392, intensity 19
- hkl 4 2 0, d 1.251, intensity 17
- hkl 0 0 2, d 1.960, intensity 16
- hkl 4 0 0, d 1.399, intensity 10
- hkl 4 0 2, d 1.139, intensity 10
- hkl 1 1 0, d 3.957, intensity 9


2.
This entry pairs a crystal structure of LiFeGe2O6 with its theoretical PXRD pattern. Radiation: Cu Kα. Structure: a DFT-relaxed cell (PBE+U, Alexandria).
Neutral-atom scattering factors, no anomalous dispersion.

Cell and atoms:
Cell: 9.742 8.931 5.446 Å, 90.00 103.04 90.00°
Space group P2_1/c (No. 14)
Unique sites:
Li 0.245 0.009 0.464 x4
Fe 0.249 0.651 0.463 x4
Ge 0.052 0.161 0.821 x4
Ge 0.454 0.158 0.234 x4
O 0.111 0.189 0.154 x4
O 0.131 0.502 0.245 x4
O 0.136 0.668 0.744 x4
O 0.359 0.668 0.184 x4
O 0.383 0.208 0.498 x4
O 0.384 0.520 0.673 x4

Top 12 peaks for 2θ = 10–90°, most intense first:
- hkl 1 2 1, d 3.075, intensity 100
- hkl 3 1 0, d 2.982, intensity 80
- hkl 2 0 -2, d 2.576, intensity 47
- hkl 3 2 -1, d 2.510, intensity 41
- hkl 0 2 0, d 4.465, intensity 34
- hkl 1 2 -1, d 3.374, intensity 33
- hkl 0 1 1, d 4.561, intensity 26
- hkl 4 3 1, d 1.662, intensity 26
- hkl 2 1 -1, d 3.663, intensity 22
- hkl 6 3 -1, d 1.422, intensity 21
- hkl 1 4 1, d 1.976, intensity 17
- hkl 1 2 -3, d 1.680, intensity 17
=====


If I could go back in time and speak to myself as a senior in high school, I would tell myself to be more well prepared for college. I would advise myself to think about collge more seriously, and to try a little harder in taking the opportunities that will help me in college, such as saving/ recieving more money and working harder in school. I would also advise myself to be more motivated in what I am passionate about and to never give up on what I want. I would tell myself that bad times will always pass, and I just have to have the will to get through it. The best thing I could do is relax but never lose sight of what I want and work hard to achieve it.


If I could go back in time and talk to myself as a high school senior, I would say not to be afraid of what lies ahead. I would tell myself not to assume anything; that each day would take care of itself and lead me to the next thing I should be doing. High school can seem like a dead end, but college is open ended and full of possibilities. The people you meet and classes you take will challange you in ways you can never imagine. Yes, high school is great, but there is some much more to be experienced. Save yourself emotionally, physically and spiritually for the amazing adventures that await. Do your best, but realize that you can only learn so much in high school. College is the true preparation for life. Aspire to finish strong and launch into the next segment of life with energy and purpose.


The first thing that I would tell myslef, would be to have an open mind about the people that go to your college. There are all kinds of people at every college, each with different opinions on every subject you can possibly think of. If you close off your mind and think that your way is the only way, you can really miss out on gaining wisdom and interacting in unique experiences. My first semester in college I closed myself off to others, and it got me nowhere. If I could go back, I would definitely like to open my mind to the possibilites from the start, so that I could get the best out of my college experience. The second thing I would tell myself, is to not think too hard when it comes to making a decision on what college to attend. You should attend whatever college you felt you fit in best. It doesn't matter how academically prestigious the college is. If you don't fit in, your college experience will be a lousy one. If I could go back, I would tell myself this so that I could relieve myself of this unneeded stress.

-- Attached: materials data --
~~~
No. 1
This entry pairs a crystal structure of HoPuBiO2 with its computed X-ray diffraction stick pattern. Radiation: Cu Kα (weighted mean of Kα1 and Kα2). Structure: a structure optimized by DFT (GGA-PBE).

Structure:
Cell lengths 3.904, 3.904, 13.324 Å; angles 90.00, 90.00, 90.00 degrees
Space group I4mm (No. 107)
Unique sites:
Ho1 0.000 0.000 0.000
Pu1 0.000 0.000 0.673
Bi1 0.000 0.000 0.334
O1 0.000 0.500 0.082

Main lines, in order of rising 2θ (10 to 90 degrees two-theta):
2θ (°), Rel. int., (hkl)
30.5, 1000, 1 0 3
32.4, 381, 1 1 0
46.5, 177, 2 0 0
52.9, 243, 1 1 6
56.7, 361, 2 1 3
63.5, 117, 2 0 6
67.7, 104, 1 0 9
86.1, 113, 2 1 9

No. 2
This entry pairs a crystal structure of U2Ni7Sn2Pt with its computed X-ray diffraction stick pattern. Radiation: Cu Kα (weighted mean of Kα1 and Kα2). Structure: a structure optimized by DFT (GGA-PBE).

Structure:
Cell lengths 5.022, 4.987, 15.718 Å; angles 90.00, 96.72, 90.00 degrees
Space group C2/m (No. 12)
Unique sites:
U1 0.096 0.000 0.249
Ni1 0.000 0.000 0.000
Ni2 0.180 0.000 0.448
Ni3 0.206 0.250 0.876
Sn1 0.151 0.500 0.388
Pt1 0.000 0.500 0.000

Main lines, in order of rising 2θ (10 to 90 degrees two-theta):
2θ (°), Rel. int., (hkl)
28.6, 1000, 1 1 2
29.4, 726, 1 1 -3
35.8, 669, 2 0 -1
40.1, 713, 1 1 5
41.4, 490, 1 1 -6
43.1, 486, 0 2 4
46.6, 674, 0 0 8
51.7, 799, 2 2 -1

No. 3
This entry pairs a crystal structure of Sc8TlRu2 with its computed X-ray diffraction stick pattern. Radiation: Cu Kα (weighted mean of Kα1 and Kα2). Structure: a structure optimized by DFT (GGA-PBE).

Structure:
Cell lengths 4.913, 14.762, 6.515 Å; angles 90.00, 90.00, 90.00 degrees
Space group Imm2 (No. 44)
Unique sites:
Sc1 0.000 0.000 0.000
Sc2 0.000 0.114 0.448
Sc3 0.000 0.291 0.128
Sc4 0.000 0.329 0.587
Sc5 0.000 0.500 0.233
Tl1 0.000 0.500 0.797
Ru1 0.000 0.170 0.824

Main lines, in order of rising 2θ (10 to 90 degrees two-theta):
2θ (°), Rel. int., (hkl)
22.7, 1000, 0 3 1
25.6, 390, 1 3 0
33.6, 223, 1 1 2
36.6, 655, 2 0 0
37.8, 901, 1 3 2
43.4, 524, 1 6 1
45.7, 336, 1 0 3
66.7, 302, 3 3 2

No. 4
This entry pairs a crystal structure of Pr2TmTe2O2 with its computed X-ray diffraction stick pattern. Radiation: Cu Kα (weighted mean of Kα1 and Kα2). Structure: a structure optimized by DFT (GGA-PBE).

Structure:
Cell lengths 4.361, 4.361, 16.867 Å; angles 90.00, 90.00, 90.00 degrees
Space group I4/mmm (No. 139)
Unique sites:
Pr1 0.000 0.000 0.108
Tm1 0.000 0.000 0.500
Te1 0.000 0.000 0.319
O1 0.000 0.500 0.000

Main lines, in order of rising 2θ (10 to 90 degrees two-theta):
2θ (°), Rel. int., (hkl)
29.0, 778, 1 1 0
33.6, 1000, 1 0 5
41.4, 358, 2 0 0
54.3, 551, 2 1 5
60.0, 118, 2 2 0
68.0, 140, 3 1 0
70.6, 193, 3 0 5
85.2, 189, 3 2 5

No. 5
This entry pairs a crystal structure of BeB12C2 with its computed X-ray diffraction stick pattern. Radiation: Cu Kα (weighted mean of Kα1 and Kα2). Structure: a structure optimized by DFT (GGA-PBE).

Structure:
Cell lengths 5.6055, 5.6055, 12.3625 Å; angles 90.00, 90.00, 120.00 degrees
~~~


Do NOT be scared to try new things! When I first started college, I had a rough transitionary period. Though I lived with one of my friends from high school, it was a very tough time for me for several reasons. Since I had the familiarity of living with a high school friend and living so close to home, I was in an awkward spot where my former high school career kept intertwining with my new college one. It took months for me to fully adjust and discover what I really wanted to do--who I really wanted to be. The best advice I could give would be to dive in head first--college is tough for everyone at first! It's hard to move away from your friends and family, but once you open your heart and mind to those around you, it truly is one of the greatest times of you life. Embrace it and move forward!

== Between two parts of the text: calculated crystals ==
/*
Structure and simulated powder diffraction line list of EuMg2H6 (a DFT-relaxed cell (GGA-PBE, the Materials Project); Cu Kα (weighted mean of Kα1 and Kα2)).
No peak broadening, texture or thermal motion is included.

Most intense lines, 15° ≤ 2θ ≤ 90°, by angle:
- d 3.742, intensity 22.5, hkl 1 0 0
- d 3.392, intensity 100.0, hkl 1 0 1
- d 2.737, intensity 86.8, hkl 1 0 2
- d 2.646, intensity 40.7, hkl 1 1 0
- d 2.513, intensity 35.5, hkl 1 1 1
- d 2.176, intensity 18.9, hkl 1 0 3
- d 1.881, intensity 23.6, hkl 1 1 3
- d 1.638, intensity 24.3, hkl 2 1 1
- d 1.599, intensity 16.0, hkl 1 1 4
- d 1.545, intensity 30.5, hkl 2 1 2

Cell: 3.7420 3.7420 8.0270 Å, 90.00 90.00 90.00°
Space group P4/mmm (No. 123)
Asymmetric unit:
Eu  0.0000  0.0000  0.0000 x1
Mg  0.5000  0.5000  0.2762 x2
H  0.0000  0.5000  0.2096 x4
H  0.5000  0.5000  0.0000 x1
H  0.5000  0.5000  0.5000 x1
*/


Realize what makes you happiest and go for it. Remember loved ones have their opinions and wish you would do things a certain way, but deep down they want what makes you happiest. Look ahead and remind yourself that things will not always be as they are and cherish the good things you have - anything "bad" can be chalked up to experience.


To go back and talk to ones-self, hmm, what an interesting proposition. All of my advice would boil down to one set of ideals, a mindset you could call it. This mindset would be one of triumph over the difficulties and trials that each and every person faces. A mindset of you can accomplish anything you put your mind to, it matters not what life throws at you, you will overcome. Now this is not to be misconstrued as a reason to act foolishly or without any care for the repercussions of one’s own actions. This is more, it is a message saying that to be a strong and well integrated adult there must be a strong foundation of high moral character, and above all to finish college early taking time off does not help anybody achieve their life goals.


I would tell myself to enjoy it more. I spent my entire freshman year stressed out about classes, finances, my roommate, and working. I didn't take the time to socialize as much as I should have. I didn't try new things. I did not have the typical freshman experience, because I didn't "stop to smell the roses." It took me a year to realize that I was at this amazing school and that I should celebrate and enjoy every second!


If given the opportunity to speak to my high school self, I would be sure to mention not to waste valuable academic time on classes that you do not need. It is very important to be confident in yourself and to not be afraid to do what truly makes you happy at the beginning of your college career instead of trying to make other people happy.